If you have the space - and it doesn’t take much - a home gym can be a worthwhile investment.We are all busy people and most of us are pretty adept at finding reasons to not get back in the car and drive to the gym. If we only have to make it to the garage, life suddenly gets a lot easier!


So, now you’ve made the decision to build a gym in your spare room or your garage, but what does this mean? How exactly does one “build” a gym?

So, what tools do you need to accomplish this? To get started on a great home gym, you should invest in the following 10 items:


1. Dumbbells

The exercises you can do with dumbbells are seemingly endless so they justify their purchase immediately. Look for hex shaped dumbbells with black rubber coating – these last the longest and are most comfortable for working out. Get 3-5 sets in a range of weights to accommodate for different exercises and for the strength you will be gaining.


2. Kettlebell

A lot of people will tell you kettlebells are not essential. Many kettlebell movements can be done similarly with a dumbbell. Certain kettlebell movements are unique, however, and some movements just work better or are more challenging with a kettlebell. I think they are a worthwhile investment for the variety they can add to your workout routines. Look for kettlebells with big smooth handles and without a painted coating.


3. Pull Up Bar

Pull up bars aren’t just for pull ups! There are a number of basic gymnastic exercises you can practice if you have a pull up bar installed at home. While you can get pull up bar systems built for doorways, ideally you would have an archway or part of a wall where you could mount a bar. If you can’t yet do pull ups, you’ll also want to buy some resistance bands for assistance.


4. Rings

Great for the home gym or for traveling, rings are light weight and add another level to your bodyweight exercises. Rings also give you the ability to increase the variety in your workouts by adding a whole lexicon of gymnastic exercises. When looking for rings, make sure you get a brand that is light in weight and easy to hang.

Here the page breaks off for data records:
........
VASP calculation (PBE) on an optimized crystal structure of CoW2Cl10.

It has space group C2/c (No. 15), with a = 6.209 Å, b = 16.648 Å, c = 12.406 Å, α = 90.00°, β = 99.63° and γ = 90.00°. The asymmetric unit holds Co at (0.000, 0.054, 0.250), W at (0.000, 0.272, 0.250), W at (0.000, 0.434, 0.250), Cl at (0.113, 0.160, 0.141), Cl at (0.129, 0.353, 0.116), Cl at (0.132, 0.458, 0.642), Cl at (0.150, 0.051, 0.640) and Cl at (0.159, 0.240, 0.643).

For the energy relative to the elements, the calculation gives -1.23 eV per atom.

----------

Version w
Material: SrCa
Method: DFT, r²SCAN
State: relaxed

Cell: 4.1251 4.1251 5.8762 Å, 90.00 90.00 92.56°
Fractional positions:
Sr 0.0000 0.0000 0.0000
Ca 0.5000 0.5000 0.5000

## Properties
* density: 2.1 g cm⁻³
* M_tot: 0.5 μB per formula unit

Version x
Material: SrCa
Method: DFT, r²SCAN
State: relaxed

Cell: 7.1455 7.1455 7.1455 Å, 33.63 33.63 33.63°
Fractional positions:
Sr 0.0000 0.0000 0.0000
Ca 0.5000 0.5000 0.5000

## Properties
* density: 2.1 g cm⁻³
* M_tot: 0.3 μB per formula unit

Most stable to least stable, the ends of the list are version w and version x.

Version w
Material: Cd
Method: DFT, r²SCAN
State: relaxed

Cell: 3.0931 3.0931 10.4307 Å, 90.00 90.00 120.00°
Fractional positions:
Cd 0.0000 0.0000 0.0000
Cd 0.0000 0.0000 0.5000
Cd 0.3333 0.6667 0.2500
Cd 0.6667 0.3333 0.7500

## Properties
* density: 8.6 g cm⁻³
* M_tot: 0.0 μB per formula unit

Version x
Material: Cd
Method: DFT, r²SCAN
State: relaxed

Cell: 3.1369 3.1369 3.1369 Å, 60.00 60.00 60.00°
Fractional positions:
Cd 0.0000 0.0000 0.0000

## Properties
* density: 8.6 g cm⁻³
* M_tot: 0.0 μB per formula unit

Most stable to least stable, the ends of the list are version w and version x.

Version w
Material: Cd
Method: DFT, r²SCAN
State: relaxed

Cell: 3.0735 3.0735 3.0735 Å, 63.09 63.09 63.09°
Fractional positions:
Cd 0.0000 0.0000 0.0000

## Properties
* density: 8.5 g cm⁻³
* M_tot: 0.0 μB per formula unit

Version x
Material: Cd
Method: DFT, r²SCAN
State: relaxed

Cell: 2.9585 2.9585 5.8859 Å, 90.00 90.00 120.00°
Fractional positions:
Cd 0.3333 0.6667 0.2500
Cd 0.6667 0.3333 0.7500

## Properties
* density: 8.4 g cm⁻³
* M_tot: 0.0 μB per formula unit

Most stable to least stable, the ends of the list are version x and version w.

Version w
Material: CrCdO4
Method: DFT, r²SCAN
State: relaxed

Cell: 7.1338 7.1338 7.0963 Å, 98.50 98.50 85.96°
Fractional positions:
Cr 0.2263 0.2263 0.5822
Cr 0.2449 0.7551 0.0000
Cr 0.7551 0.2449 0.0000
Cr 0.7737 0.7737 0.4178
Cd 0.2891 0.2891 0.1261
Cd 0.3132 0.6868 0.5000
Cd 0.6868 0.3132 0.5000
Cd 0.7109 0.7109 0.8739
O 0.0030 0.2798 0.5205
O 0.0276 0.7251 0.9002
O 0.2749 0.9724 0.0998
O 0.2798 0.0030 0.5205
O 0.2852 0.2852 0.8119
O 0.2969 0.6140 0.1721
O 0.3546 0.3546 0.4611
O 0.3860 0.7031 0.8279
O 0.6140 0.2969 0.1721
O 0.6454 0.6454 0.5389
O 0.7031 0.3860 0.8279
O 0.7148 0.7148 0.1881
O 0.7202 0.9970 0.4795
O 0.7251 0.0276 0.9002
O 0.9724 0.2749 0.0998
O 0.9970 0.7202 0.4795

## Properties
........
Back to the page:


5. Jump Rope

If you haven’t jumped rope since you were a kid, you’re in for a surprise! Turns out it’s harder than it looks and it’s fantastic cardio. Jumping rope also works your coordination in a big way. If you are a beginner, just get a durable rope and don’t worry about details. If you have some jumping skill, look for either a wire lightweight rope to work on speed and timing or a weighted rope to work on strength.

# 1
Compound: WO3
Source: the Materials Project database
Functional: PBE with a Hubbard U
Structure: optimized geometry

## Properties
ρ = 6.7 g/cm³
total energy = -60.06 eV per cell
calculated formation energy = -2182 meV/atom

Cell lengths 7.6757, 3.8856, 3.8677 Å; angles 90.00, 90.00, 90.00 degrees
Fractional positions:
W 0.2500 0.0000 0.0325
W 0.7500 0.0000 0.9675
O 0.0000 0.0000 0.0000
O 0.2500 0.0000 0.5128
O 0.2500 0.5000 0.0068
O 0.5000 0.0000 0.0000
O 0.7500 0.0000 0.4872
O 0.7500 0.5000 0.9932


# 2
Compound: W25O73
Source: the Materials Project database
Functional: PBE with a Hubbard U
Structure: optimized geometry

## Properties
ρ = 6.7 g/cm³
total energy = -1473.29 eV per cell
total magnetic moment = 1.3 Bohr magnetons per cell
calculated formation energy = -2169 meV/atom

Cell lengths 12.2586, 3.8609, 60.5676 Å; angles 90.00, 97.91, 90.00 degrees
Fractional positions:
W 0.0000 0.0157 0.2500
W 0.0000 0.9843 0.7500
W 0.0639 0.0164 0.6897
W 0.0639 0.9836 0.1897
W 0.1202 0.0108 0.4531
W 0.1202 0.9892 0.9531
W 0.1261 0.0143 0.1289
W 0.1261 0.9857 0.6289
W 0.1861 0.0132 0.8918
W 0.1861 0.9868 0.3918
W 0.1912 0.0025 0.5677
W 0.1912 0.9975 0.0677
W 0.2397 0.0156 0.0050
W 0.2397 0.9844 0.5050
W 0.2481 0.0157 0.3309
W 0.2481 0.9843 0.8309
W 0.3114 0.0171 0.7706
W 0.3114 0.9829 0.2706
W 0.3753 0.0178 0.2104
W 0.3753 0.9822 0.7104
W 0.4384 0.0175 0.6499
W 0.4384 0.9825 0.1499
W 0.4435 0.0037 0.4730
W 0.4435 0.9963 0.9730
W 0.4989 0.0098 0.4110
W 0.4989 0.9902 0.9110
W 0.5011 0.0098 0.0890
W 0.5011 0.9902 0.5890
W 0.5565 0.0037 0.0270
W 0.5565 0.9963 0.5270
W 0.5616 0.0175 0.8501
W 0.5616 0.9825 0.3501
W 0.6247 0.0178 0.2896
W 0.6247 0.9822 0.7896
W 0.6886 0.0171 0.7294
W 0.6886 0.9829 0.2294
W 0.7519 0.0157 0.1691
W 0.7519 0.9843 0.6691
W 0.7603 0.0156 0.4950
W 0.7603 0.9844 0.9950
W 0.8088 0.0025 0.9323
W 0.8088 0.9975 0.4323
W 0.8139 0.0132 0.6082
W 0.8139 0.9868 0.1082
W 0.8739 0.0143 0.3711
W 0.8739 0.9857 0.8711
W 0.8798 0.0108 0.0469
W 0.8798 0.9892 0.5469
W 0.9361 0.0164 0.8103
W 0.9361 0.9836 0.3103
O 0.0000 0.4952 0.7500
O 0.0000 0.5048 0.2500
O 0.0300 0.9997 0.3839
O 0.0300 0.0003 0.8839
O 0.0310 0.0019 0.0549
O 0.0310 0.9981 0.5549
O 0.0332 0.0008 0.7194
O 0.0332 0.9992 0.2194
O 0.0625 0.4951 0.1887
O 0.0625 0.5049 0.6887
O 0.0917 0.0012 0.1578
O 0.0917 0.9988 0.6578
O 0.0939 0.0006 0.3213
O 0.0939 0.9994 0.8213
O 0.1042 0.0042 0.9871
O 0.1042 0.9958 0.4871
O 0.1254 0.4959 0.9549
O 0.1254 0.5041 0.4549
O 0.1256 0.4963 0.6272
O 0.1256 0.5037 0.1272
O 0.1557 0.0008 0.7608
O 0.1557 0.9992 0.2608
O 0.1583 0.0009 0.5964
O 0.1583 0.9991 0.0964
O 0.1643 0.0018 0.4252
O 0.1643 0.9982 0.9252
O 0.1858 0.4964 0.3936
O 0.1858 0.5036 0.8936
O 0.1893 0.4999 0.0654
O 0.1893 0.5001 0.5654
O 0.2145 0.0030 0.0341
O 0.2145 0.9970 0.5341
O 0.2164 0.0013 0.8626
O 0.2164 0.9987 0.3626
O 0.2191 0.9995 0.1987
O 0.2191 0.0005 0.6987
O 0.2499 0.4938 0.5047
O 0.2498 0.4951 0.8321
O 0.2498 0.5049 0.3321
O 0.2499 0.5062 0.0047
O 0.2794 0.0054 0.4708


6. Medicine Ball


A great tool for plyometric exercises as well as core strength movements, a medicine ball is an essential purchase. Whether you are throwing it, carrying it, or doing abdominal exercises with it, a medicinal ball provides you with many, many options. Look for a SOFT medicine ball so that it is forgiving when you do exercises involving throwing or catching it. If you are not sure about weight, err on the lighter side as many medicine ball exercises emphasize speed and power.


7. Plyo-Box

What’s more fun than having something to jump on? Boxes are a great item for building explosive power and quickness. You can also use them for squatting, for bench dips, and for other non-jumping exercises. You may want to build your own wooden box if you have the ability, or hire a friend. In a pinch, you can also just go down to the hardware store and purchase an irrigation box.


8. Barbell

Your home gym, of course, would not be complete without a barbell. Barbells, like other free weights, are much better than the machines at the gym because of the stabilization and coordination aspects they bring to your workouts. Look for a sturdy, not too cheap and not too expensive bar. If you have small hands, pay attention to the diameter of the bar and consider purchasing a “women’s” bar.

• Here the entry breaks off for data records:
┌──
Pr2ZnHg: optimized geometry, PBE-GGA.

The space group is Fm-3m (No. 225) and the conventional cell measures 7.612, 7.612 and 7.612 Å, with angles of 90.00, 90.00 and 90.00 degrees. Symmetry generates all atoms from Pr at (0.250, 0.250, 0.250), Zn at (0.000, 0.000, 0.000) and Hg at (0.000, 0.000, 0.500).

Its crystal system is cubic. The formation energy is -0.3719 eV per atom. The value obtained for the calculated total energy is -3.1532 eV per atom. The value obtained for the size of the total moment is 0.67 μB/f.u. As for the density: 8.25 g/cm³.

~~~~~

[1]
Below is a geometry-optimized Dy5Mg structure, with properties calculated at the PBE level.

**SG**: Amm2 (38)
**Energy of formation**: 37 meV/atom

abc: 5.592 9.340 9.340
angles: 22.06 90.00 90.00
Sites, in units of the cell vectors:
Dy 0.000 0.000 0.000
Dy 0.000 0.330 0.330
Dy 0.000 0.668 0.668
Dy 0.500 0.116 0.116
Dy 0.500 0.447 0.447
Mg 0.500 0.779 0.779

[2]
Below is a geometry-optimized DyMg3 structure, with properties calculated at the PBE level.

**SG**: Fm-3m (225)
**Energy of formation**: -75 meV/atom

abc: 5.173 5.173 5.173
angles: 60.00 60.00 60.00
Sites, in units of the cell vectors:
Dy 0.000 0.000 0.000
Mg 0.250 0.250 0.250
Mg 0.500 0.500 0.500
Mg 0.750 0.750 0.750

[3]
Below is a geometry-optimized DyMg3 structure, with properties calculated at the PBE level.

**SG**: P6_3/mmc (194)
**Energy of formation**: -60 meV/atom

abc: 6.658 6.658 5.201
angles: 90.00 90.00 120.00
Sites, in units of the cell vectors:
Dy 0.333 0.667 0.250
Dy 0.667 0.333 0.750
Mg 0.164 0.328 0.750
Mg 0.164 0.836 0.750
Mg 0.328 0.164 0.250
Mg 0.672 0.836 0.750
Mg 0.836 0.164 0.250
Mg 0.836 0.672 0.250

[4]
Below is a geometry-optimized DyMg5 structure, with properties calculated at the PBE level.

**SG**: Cm (8)
**Energy of formation**: -7 meV/atom

abc: 6.199 6.199 7.164
angles: 107.10 107.10 34.47
Sites, in units of the cell vectors:
Dy 0.000 0.000 0.000
Mg 0.001 0.001 0.501
Mg 0.325 0.325 0.173
Mg 0.327 0.327 0.655
Mg 0.673 0.673 0.344
Mg 0.677 0.677 0.831

[5]
Below is a geometry-optimized DyMg structure, with properties calculated at the PBE level.

**SG**: Pm-3m (221)
**Energy of formation**: -80 meV/atom

abc: 3.787 3.787 3.787
angles: 90.00 90.00 90.00
Sites, in units of the cell vectors:
Dy 0.000 0.000 0.000
Mg 0.500 0.500 0.500

[6]
Below is a geometry-optimized Dy5Mg structure, with properties calculated at the PBE level.

**SG**: R32 (155)
**Energy of formation**: 16 meV/atom

abc: 6.598 6.598 6.598
angles: 55.38 55.38 55.38
└──


9. Weight Plates

Now you need to some weight to put on that bar! Buy a variety of weights – 2.5#, 5#, 10#, 25# and, if you are fairly strong, 45# plates. If you plan to train Olympic lifting make sure you get rubber bumper plates.


10. Stereo System

Seriously, you have to rock good tunes while you work out. 


With these ten items and a little time spent on the internet, I am confident you could generate hundreds of excellent workouts for yourself. If you can’t see buying all ten at once, slowly start building your gym, one piece of equipment at a time. If you’re on a budget, check the local classifieds or Craig’s List for great deals on exercise equipment. If you live near a college or university a great time to check listings is in the springtime when students are moving back home for summer and selling off their possessions.


Working out on your own isn’t for everybody. Some people would buy this equipment and never use it, because they actually find better motivation in group classes. But for those of you who are under a time crunch and are self-motivated, remember this – even if the initial outlay is more, if investing in a home gym has you actually working out on a regular basis, it’s a better investment than spending monthly dues on a gym you never attend!